== Request ==
The reader should transcribe the block further below from the line with "data_AlCdGaBi" to the end exactly.
== Given ==
-- begin --
AlCd2CoBi | PBE | optimized geometry

The structure in CIF format:
```
data_AlCd2CoBi
_space_group_name_H-M_alt 'P 4/m m m'
_space_group_IT_number 123
_space_group_name_Hall '-P 4 2'
_cell_length_a 5.133
_cell_length_b 5.133
_cell_length_c 4.474
_cell_angle_alpha 90.00
_cell_angle_beta 90.00
_cell_angle_gamma 90.00
loop_
_atom_site_label
_atom_site_type_symbol
_atom_site_fract_x
_atom_site_fract_y
_atom_site_fract_z
_atom_site_occupancy
Al1 Al 0.000 0.000 0.000 1
Cd1 Cd 0.000 0.500 0.000 1
Co1 Co 0.000 0.000 0.500 1
Bi1 Bi 0.500 0.500 0.500 1
```

## Properties
DFT formation energy = 631 meV per atom
raw total energy = -13.40 eV/cell

=====

AlCdGaBi | PBE | optimized geometry

The structure in CIF format:
```
data_AlCdGaBi
_space_group_name_H-M_alt 'F -4 3 m'
_space_group_IT_number 216
_space_group_name_Hall 'F -4 2 3'
_cell_length_a 7.265
_cell_length_b 7.265
_cell_length_c 7.265
_cell_angle_alpha 90.00
_cell_angle_beta 90.00
_cell_angle_gamma 90.00
loop_
_atom_site_label
_atom_site_type_symbol
_atom_site_fract_x
_atom_site_fract_y
_atom_site_fract_z
_atom_site_occupancy
Al1 Al 0.000 0.000 0.000 1
Cd1 Cd 0.250 0.250 0.250 1
Ga1 Ga 0.000 0.000 0.500 1
Bi1 Bi 0.250 0.250 0.750 1
```

## Properties
DFT formation energy = 170 meV per atom
raw total energy = -43.54 eV/cell

=====

AlCdBi2H | PBE | optimized geometry

The structure in CIF format:
```
data_AlCdBi2H
_space_group_name_H-M_alt 'P 4/m m m'
_space_group_IT_number 123
_space_group_name_Hall '-P 4 2'
_cell_length_a 5.814
_cell_length_b 5.814
_cell_length_c 3.403
_cell_angle_alpha 90.00
_cell_angle_beta 90.00
_cell_angle_gamma 90.00
loop_
_atom_site_label
_atom_site_type_symbol
_atom_site_fract_x
_atom_site_fract_y
_atom_site_fract_z
_atom_site_occupancy
Al1 Al 0.000 0.000 0.000 1
Cd1 Cd 0.500 0.500 0.500 1
Bi1 Bi 0.000 0.500 0.000 1
H1 H 0.000 0.000 0.500 1
```

## Properties
raw total energy = -15.16 eV/cell

=====

AlCd2InBi | PBE | optimized geometry

The structure in CIF format:
```
data_AlCd2InBi
_space_group_name_H-M_alt 'P 4/m m m'
_space_group_IT_number 123
_space_group_name_Hall '-P 4 2'
_cell_length_a 5.832
_cell_length_b 5.832
_cell_length_c 5.773
_cell_angle_alpha 90.00
_cell_angle_beta 90.00
_cell_angle_gamma 90.00
loop_
_atom_site_label
_atom_site_type_symbol
_atom_site_fract_x
_atom_site_fract_y
_atom_site_fract_z
_atom_site_occupancy
Al1 Al 0.000 0.000 0.000 1
Cd1 Cd 0.000 0.500 0.500 1
In1 In 0.500 0.500 0.000 1
Bi1 Bi 0.500 0.500 0.500 1
```

## Properties
DFT formation energy = 717 meV per atom
raw total energy = -8.61 eV/cell
-- stop --
== Worked solution ==
data_AlCdGaBi
_space_group_name_H-M_alt 'F -4 3 m'
_space_group_IT_number 216
_space_group_name_Hall 'F -4 2 3'
_cell_length_a 7.265
_cell_length_b 7.265
_cell_length_c 7.265
_cell_angle_alpha 90.00
_cell_angle_beta 90.00
_cell_angle_gamma 90.00
loop_
_atom_site_label
_atom_site_type_symbol
_atom_site_fract_x
_atom_site_fract_y
_atom_site_fract_z
_atom_site_occupancy
Al1 Al 0.000 0.000 0.000 1
Cd1 Cd 0.250 0.250 0.250 1
Ga1 Ga 0.000 0.000 0.500 1
Bi1 Bi 0.250 0.250 0.750 1
```

## Properties
DFT formation energy = 170 meV per atom
raw total energy = -43.54 eV/cell

=====

AlCdBi2H | PBE | optimized geometry

The structure in CIF format:
```
data_AlCdBi2H
_space_group_name_H-M_alt 'P 4/m m m'
_space_group_IT_number 123
_space_group_name_Hall '-P 4 2'
_cell_length_a 5.814
_cell_length_b 5.814
_cell_length_c 3.403
_cell_angle_alpha 90.00
_cell_angle_beta 90.00
_cell_angle_gamma 90.00
loop_
_atom_site_label
_atom_site_type_symbol
_atom_site_fract_x
_atom_site_fract_y
_atom_site_fract_z
_atom_site_occupancy
Al1 Al 0.000 0.000 0.000 1
Cd1 Cd 0.500 0.500 0.500 1
Bi1 Bi 0.000 0.500 0.000 1
H1 H 0.000 0.000 0.500 1
```

## Properties
raw total energy = -15.16 eV/cell

=====

AlCd2InBi | PBE | optimized geometry

The structure in CIF format:
```
data_AlCd2InBi
_space_group_name_H-M_alt 'P 4/m m m'
_space_group_IT_number 123
_space_group_name_Hall '-P 4 2'
_cell_length_a 5.832
_cell_length_b 5.832
_cell_length_c 5.773
_cell_angle_alpha 90.00
_cell_angle_beta 90.00
_cell_angle_gamma 90.00
loop_
_atom_site_label
_atom_site_type_symbol
_atom_site_fract_x
_atom_site_fract_y
_atom_site_fract_z
_atom_site_occupancy
Al1 Al 0.000 0.000 0.000 1
Cd1 Cd 0.000 0.500 0.500 1
In1 In 0.500 0.500 0.000 1
Bi1 Bi 0.500 0.500 0.500 1
```

## Properties
DFT formation energy = 717 meV per atom
raw total energy = -8.61 eV/cell